Welcome to Leicester, VT

A Great Place to Live

Meeting Minutes

Town of Leicester

Selectboard Meeting Minutes


Tuesday, September 7, 2010

(Monday Holiday)




** See subsequent minutes for any changes


Members Present:  Diane Benware, Ron Fiske, Tom Barker, Bob Oliver, Ken Young


Others Present:   Julie Delphia, Arlan Pidgeon, Harold Somerset, Sandra Trombley, Secretary


Call to Order:  Meeting called to order at 6:30 p.m. by Chair, followed by the Pledge of Allegiance. 


Review of Agenda:  Agenda reviewed. 


Mr. Somerset asked to speak for the Lake Dunmore side of Isthmus Road project.  He relayed that they are happy.  They are happy it was done so quickly and it was a real good job and Arlan was very accommodating getting people in and out as needed.


Isthmus Road Update:


Arlan reported they are done on Isthmus Road.  He has submitted his bill for $18,248.34.


The oak tree by Neri’s on Hooker Road has been taken down by Vaillancourt for $500.


Ken confirmed our class 4 roads.  We have three class 4 roads; Lower Bullock, Stove Pipe Lane, and Isthmus Road.


Approval of Minutes of August 16, 2010:


Motion by Bob to approve minutes of August 16, 2010 as written.  Second by Tom.  All in favor.  So approved.


Review/Authorize Payment of Bills:  Bills making their rounds for signatures.


Weight Permits:  None


Reports from Town Officials, Committees:



Road Foreman:


Arlan reported the culvert needs to be done just past the Town Shed.  There is a hole in the middle of the road due to the culvert.  Arlan will mark the road to be cut.  Arlan will get the culvert and dig it out.


There is a culvert on Old Jerusalem Road to be done at some point by Jane Fjeld’s house.


Arlan reported the loose fence outside Town Office on the property line needs to be tightened up.


Arlan cut some brush on Shackett Road.  Arlan will patch some holes on Hooker Road.


Town Clerk/Treasurer:


Julie reported delinquents are at $46,500.  She has taken in $130,000 - $140,000 toward new taxes.


Julie would like a motion to pay the cemetery fence bill from the restricted fund.


Ken made a motion authorizing Treasurer to pay the cemetery fence bill from money from the cemetery restricted fund.  Second by Tom.  All in favor.  So approved.


There is a recount for the election.  Julie and Audrey brought the ballots to the Court House to be recounted.


Bob made a motion authorizing Treasurer to reimburse general fund from the restricted highway fund to pay for the total Isthmus Road work.  Second by Ken.  All in favor.  So approved.


Julie received letter that FEMA dollars will be coming.


Brandon Police Chief called Julie and asked about the complaint letter and letter in the Brandon Pittsford Reporter about Brandon Police patrolling Leicester.   He assured Julie that they do not patrol Leicester unless they are asked to by another authority or unless they are in pursuit or investigating a case.


Voters made comments about the Sheriff’s Department who happen to sit at the cemetery on voting day and pulled people over in the circle on voting day.  They are sitting there at the time people come home from work.  They are not patrolling other areas in town like Rte.53.  Sheriff has also been sitting over by Tim Johnson’s.


Further discussion about Sheriff Department patrols. 


Action:  Diane will send a letter to Sheriff Coons in regard to numerous complaints of the Sheriff patrols.



Cemetery Committee:


Tom reported the cemetery fence is up, thanks to all the volunteers.  The volunteers were:

Allen Pidgeon, Donna Swinington, Rob Cole, Dickie Dutton, Tom Barker. 


The fence was $3,874.40.  Tom has the sign which was $16.00 for the cemetery.  He will put it up.




Errors/Omissions Listers:


Julie reported that someone filled out their HS122 business use % incorrectly, and when they corrected it, it changed values.  The Listers are required to do an Errors & Omissions and it requires Selectboard approval.   It went from $135,200 - $80,500 because it was a homestead value and not a business.


Selectboard signed the E&O Certificate as recommended by Listers.


Julie had a request for abatement.  


Julie reporting for the Lister news.


The State Advisor came down and did the sales study with Cecile.  Julie asked her about the trend and what could Town do. 


Terry advised that when Town receives their CLA, appeal to them using a shorter or tighter time frame.  Rather than taking three years, look at two years or one year. 





Records of molecules, kept here for reference:
=====
Density functional theory data (ωB97M-V/def2-TZVPD) for C33H53N4O2P2V as an isolated structure.

* net charge: +1
* F_max: 8.06 eV/A
* DFT total energy: -89398.496 eV
* 2S+1: 4

Structure (XYZ):
```
95
Properties=species:S:1:pos:R:3:mulliken_spin:R:1
C -1.335 -1.778 -1.873 -0.0093
C 0.679 -2.823 -1.154 0.0719
C -1.501 -2.718 -2.880 0.0101
C 0.441 -3.872 -2.077 0.0064
C -0.623 -3.803 -2.956 0.0074
H -2.346 -2.605 -3.558 0.0003
H 1.151 -4.699 -2.071 0.0002
H -0.784 -4.586 -3.698 -0.0002
N -0.267 -1.806 -1.034 -0.1077
P -2.540 -0.331 0.185 -0.0197
P 2.287 -1.213 0.423 -0.0113
C -2.350 -0.676 -1.633 0.0481
H -2.050 0.258 -2.135 0.0017
H -3.320 -0.960 -2.055 0.0016
C 1.848 -2.731 -0.363 0.0237
H 2.481 -3.616 -0.311 0.0000
C 3.406 -0.250 -0.834 0.0020
C 3.282 -1.615 2.000 0.0025
C -3.423 1.358 0.380 0.0066
C -3.652 -1.798 0.706 0.0075
C 3.402 1.232 -0.426 0.0052
H 3.976 1.415 0.491 0.0031
H 3.857 1.827 -1.232 0.0007
H 2.386 1.609 -0.268 0.0205
C 4.835 -0.802 -0.856 0.0017
H 5.389 -0.617 0.072 -0.0001
H 4.850 -1.876 -1.081 0.0004
H 5.388 -0.297 -1.662 0.0001
C 2.835 -0.406 -2.251 0.0180
H 3.376 0.273 -2.929 0.0007
H 2.961 -1.429 -2.627 0.0013
H 1.775 -0.140 -2.302 0.0107
C 3.959 -0.338 2.529 -0.0042
H 3.230 0.474 2.663 -0.0010
H 4.394 -0.562 3.516 0.0004
H 4.778 0.020 1.893 0.0002
C 2.349 -2.138 3.100 0.0265
H 1.656 -1.374 3.465 -0.0043
H 1.775 -3.013 2.775 -0.0026
H 2.978 -2.447 3.950 -0.0007
C 4.299 -2.724 1.712 -0.0022
H 5.053 -2.448 0.970 0.0004
H 4.825 -2.948 2.651 -0.0006
H 3.794 -3.638 1.379 0.0004
C -4.066 -1.575 2.169 -0.0008
H -4.591 -2.477 2.518 0.0013
H -3.190 -1.434 2.819 -0.0010
H -4.755 -0.730 2.291 -0.0003
C -2.878 -3.126 0.618 0.0298
H -2.622 -3.381 -0.418 0.0017
H -1.969 -3.122 1.229 -0.0135
H -3.543 -3.917 1.003 -0.0003
C -4.884 -1.960 -0.198 0.0001
H -5.466 -2.811 0.187 -0.0010
H -5.542 -1.087 -0.204 -0.0003
H -4.606 -2.201 -1.233 0.0009
C -2.671 2.438 -0.411 0.0254
H -2.658 2.231 -1.489 -0.0013
H -3.191 3.399 -0.268 0.0000
H -1.640 2.563 -0.065 0.0150
C -3.430 1.765 1.864 -0.0050
H -2.423 1.810 2.300 0.0023
H -3.880 2.767 1.941 0.0005
H -4.032 1.094 2.486 -0.0004
C -4.863 1.291 -0.138 0.0027
H -4.916 0.915 -1.169 0.0003
H -5.517 0.692 0.509 0.0001
H -5.274 2.312 -0.141 -0.0014
V -0.037 -0.454 0.415 2.5018
C -0.497 -1.327 1.935 0.0733
O -0.786 -1.779 3.001 0.2116
N 0.091 1.125 -0.896 -0.2103
C 0.286 1.718 -1.895 0.1203
C 0.468 2.556 -3.000 0.0154
C 0.253 3.948 -2.877 0.0163
C 0.859 2.016 -4.249 0.0157
C 0.418 4.772 -3.990 -0.0066
H -0.034 4.361 -1.909 0.0010
C 1.034 2.861 -5.342 -0.0076
H 1.016 0.941 -4.341 0.0010
C 0.808 4.237 -5.224 0.0135
H 0.242 5.844 -3.899 -0.0001
H 1.348 2.442 -6.299 -0.0001
H 0.938 4.891 -6.092 0.0007
C 1.749 3.548 2.954 0.0001
N 0.768 2.845 3.750 0.0006
C 0.120 1.784 3.241 0.0036
N -0.899 1.242 4.013 0.0018
O 0.409 1.350 2.101 0.0831
H 1.307 3.914 2.018 -0.0002
H 2.597 2.899 2.697 -0.0003
H 2.110 4.395 3.541 -0.0001
H 0.506 3.192 4.665 -0.0003
H -1.017 0.232 3.933 -0.0059
H -0.955 1.602 4.957 -0.0002
```
=====
Back to the piece:


Julie hasn’t had a chance to go to Rutland to buy an air conditioner. 




Bob Morin provided a new estimate for steps for $2,800.  Form and pour and put handrails.  This does not include removal and disposal of old steps or construction permit.


Diane has public safety application.


Recap McKernon’s estimate which includes application for permit, remove the stairs, remove existing trapezoidal walk, install code compliant precast steps with railing attached, pour a new sidewalk to the new steps from the driveway, clean up old materials, reseed the disturbed grass area.


Motion by Ken to award contract to McKernon for $6,200.  Second by Bob. 

·         Ken – Yes

·         Bob - Yes

·         Tom – No

·         Ron – Abstained

·         Diane – Yes

Motion carried.  Bob will notify Peter to begin project.


There is $2,000 that Historical Society donated and there is $4,500 in the building repairs fund to pay for the steps.


Motion by Tom to authorize Treasurer to pay McKernon’s out of building repair funds and the $2,000 from the historical society.  Second by Bob.  All in favor.  So approved.


Limited Public Opinion:  None




Community Advisory Board Meeting, 6:30 pm, New Haven Fire Department


Letter from Terry Wilkins from Salem, Oregon:  Compiling recipes for a cookbook.


Candidates Forum Memorandum from VLCT


Draft VLCT Municipal Policies


CVPS Substation Hearing Salisbury Town Office


Next meeting, Tuesday September 20, 2010.


Motion by Ken to adjourn at 7:30 p.m.  Second by Bob.  All in favor.  So approved.



 Respectfully submitted,



Sandra L. Trombley

Selectboard Secretary